Both my mom and dad grew up in extreme poverty. Neither one of them went beyond a 6th grade formal education. Their childhoods and youth were one of intense struggle and suffering. Their trauma was compounded with the loss of family and social support as they immigrated first to Spain and then to the United States.
Materials data, kept here for reference.
<<<
# 1
First-principles (r²SCAN) data for an optimized crystal structure of YSeO3F, as listed in Materials Project.

```
YSeO3F
1.0
7.005 0.000 0.000
0.000 4.384 0.005
0.000 0.705 6.514
Y Se O F
2 2 6 2
direct
0.250 0.542 0.367
0.750 0.458 0.633
0.750 0.683 0.145
0.250 0.317 0.855
0.250 0.584 0.019
0.750 0.416 0.981
0.574 0.559 0.319
0.074 0.441 0.681
0.426 0.441 0.681
0.926 0.559 0.319
0.250 0.042 0.357
0.750 0.958 0.643
```

ΔH_f (0 K)	-2.5875	eV per atom
mass density	3.900	g cm⁻³
symmetry	P2_1/m (11)
DFT total energy	-11.8656	eV per atom



# 2
First-principles (r²SCAN) data for an optimized crystal structure of SmSiRu, as listed in Materials Project.

```
SmSiRu
1.0
4.221 0.000 0.000
0.000 4.221 0.000
0.000 0.000 6.740
Sm Si Ru
2 2 2
direct
0.250 0.250 0.681
0.750 0.750 0.319
0.250 0.250 0.179
0.750 0.750 0.821
0.750 0.250 0.000
0.250 0.750 0.000
```

ΔH_f (0 K)	-0.8532	eV per atom
mass density	7.730	g cm⁻³
symmetry	P4/nmm (129)
DFT total energy	-22.1636	eV per atom



Copy entry 1 word for word.
First-principles (r²SCAN) data for an optimized crystal structure of YSeO3F, as listed in Materials Project.

```
YSeO3F
1.0
7.005 0.000 0.000
0.000 4.384 0.005
0.000 0.705 6.514
Y Se O F
2 2 6 2
direct
0.250 0.542 0.367
0.750 0.458 0.633
0.750 0.683 0.145
0.250 0.317 0.855
0.250 0.584 0.019
0.750 0.416 0.981
0.574 0.559 0.319
0.074 0.441 0.681
0.426 0.441 0.681
0.926 0.559 0.319
0.250 0.042 0.357
0.750 0.958 0.643
```

ΔH_f (0 K)	-2.5875	eV per atom
mass density	3.900	g cm⁻³
symmetry	P2_1/m (11)
DFT total energy	-11.8656	eV per atom



Q: DFT total energy of number 1 (YSeO3F)?
A: -11.8656 eV per atom



Copy entry 2 word for word.
First-principles (r²SCAN) data for an optimized crystal structure of SmSiRu, as listed in Materials Project.

```
SmSiRu
1.0
4.221 0.000 0.000
0.000 4.221 0.000
0.000 0.000 6.740
Sm Si Ru
2 2 2
direct
0.250 0.250 0.681
0.750 0.750 0.319
0.250 0.250 0.179
0.750 0.750 0.821
0.750 0.250 0.000
0.250 0.750 0.000
```

ΔH_f (0 K)	-0.8532	eV per atom
mass density	7.730	g cm⁻³
symmetry	P4/nmm (129)
DFT total energy	-22.1636	eV per atom



What did the first record say?
First-principles (r²SCAN) data for an optimized crystal structure of YSeO3F, as listed in Materials Project.

```
YSeO3F
1.0
7.005 0.000 0.000
0.000 4.384 0.005
0.000 0.705 6.514
Y Se O F
2 2 6 2
direct
0.250 0.542 0.367
0.750 0.458 0.633
0.750 0.683 0.145
0.250 0.317 0.855
0.250 0.584 0.019
0.750 0.416 0.981
0.574 0.559 0.319
0.074 0.441 0.681
0.426 0.441 0.681
0.926 0.559 0.319
0.250 0.042 0.357
0.750 0.958 0.643
```

ΔH_f (0 K)	-2.5875	eV per atom
mass density	3.900	g cm⁻³
symmetry	P2_1/m (11)
DFT total energy	-11.8656	eV per atom

=====

[1]
VASP calculation (GGA-PBE) on an optimized crystal structure of SnP.

a = 3.8644 Å, b = 3.8644 Å, c = 6.1011 Å
α = 90.00°, β = 90.00°, γ = 90.00°
Sites, in units of the cell vectors:
Sn 0.0000 0.0000 0.0000
Sn 0.5000 0.5000 0.5000
P 0.0000 0.0000 0.4319
P 0.5000 0.5000 0.9319

Computed properties:
>>>
The entry goes on.
My dad lost his life in a work accident when he was 48 years old. He did dangerous work in a sugar mill, exposed to heavy machinery, poor working conditions, and long hours. His dream was to get us all out of poverty. My mom developed heart disease in her mid-thirties and by age 39 had open-heart bypass surgery. She had a second one 13 years later. Her health was compromised way before her surgery, and she struggled with her health until she passed at age 77.
Poverty strips people of their physical and mental health. The consequences of poverty are transmitted generationally, even when poverty is superseded by an earlier generation.
I mention this as a context for my interest in this topic and to encourage you to read a recent report by the Brookings Institution on race and poverty in the US. The findings are dramatic and shocking. Here’s one insight:
Black adults in their 30s are over 16 times more likely than white adults to be in the third generation of poverty in a row. In fact, Black Americans are 41 percent more likely to be in third-generation poverty than white Americans are to be poor.
Although this post may seem out of place, understanding the world around us is critical for our wellbeing. We don’t live in little bubbles. Even when we try, the world crashes in on us unexpectedly.
== Here the text breaks off for records of crystals ==
/*
First-principles (GGA-PBE) data for a relaxed TiZnS3O12 crystal, as listed in the Materials Project.

a = 8.6231 Å, b = 8.6231 Å, c = 22.3040 Å
α = 90.00°, β = 90.00°, γ = 120.00°
Last column: nearest neighbours and their distance in Å.
Sites, in units of the cell vectors:
O1 0.3013 0.8314 0.2590  1 S 1.53
O2 0.1826 0.9835 0.9074  1 S 1.45
O3 0.3499 0.8658 0.5741  1 S 1.45
O4 0.0350 0.8296 0.6964  1 S 1.51
O5 0.6346 0.4980 0.9256  1 S 1.53
O6 0.1342 0.6501 0.0741  1 S 1.45
O7 0.1704 0.9650 0.1964  1 S 1.51
O8 0.3683 0.4962 0.3631  1 S 1.51
O9 0.9679 0.8032 0.0923  1 S 1.53
O10 0.5038 0.6317 0.8631  1 S 1.51
O11 0.5301 0.6987 0.2590  1 S 1.53
O12 0.5439 0.6955 0.9709  1 S 1.45
O13 0.6832 0.1507 0.7408  1 S 1.45
O14 0.5020 0.3654 0.4256  1 S 1.53
O15 0.5159 0.6501 0.5741  1 S 1.45
O16 0.4675 0.3168 0.7408  1 S 1.45
O17 0.2105 0.1817 0.8043  1 S 1.45
O18 0.0165 0.8174 0.4074  1 S 1.45
O19 0.1968 0.0321 0.5923  1 S 1.53
O20 0.2105 0.0288 0.3043  1 S 1.45
O21 0.7946 0.9650 0.6964  1 S 1.51
O22 0.9679 0.1647 0.5923  1 S 1.53
O23 0.1686 0.4699 0.2590  1 S 1.53
O24 0.4849 0.1228 0.6376  1 S 1.45
O25 0.8353 0.8032 0.5923  1 S 1.53
O26 0.1342 0.4841 0.5741  1 S 1.45
O27 0.1704 0.2054 0.6964  1 S 1.51
O28 0.6346 0.1366 0.4256  1 S 1.53
O29 0.8009 0.8174 0.9074  1 S 1.45
O30 0.1686 0.6987 0.7590  1 S 1.53
O31 0.0350 0.2054 0.1964  1 S 1.51
O32 0.4612 0.1629 0.5297  1 S 1.51
O33 0.1279 0.4962 0.8631  1 S 1.51
O34 0.3013 0.4699 0.7590  1 S 1.53
O35 0.1516 0.4561 0.9709  1 S 1.45
O36 0.8371 0.2983 0.5297  1 S 1.51
O37 0.8772 0.3621 0.6376  1 S 1.45
O38 0.3045 0.4561 0.4709  1 S 1.45
O39 0.3045 0.8484 0.9709  1 S 1.45
O40 0.4849 0.3621 0.1376  1 S 1.45
O41 0.5301 0.8314 0.7590  1 S 1.53
O42 0.3499 0.4841 0.0741  1 S 1.45
O43 0.5038 0.8721 0.3631  1 S 1.51
O44 0.8371 0.5388 0.0297  1 S 1.51
O45 0.6379 0.1228 0.1376  1 S 1.45
O46 0.8493 0.5325 0.7408  1 S 1.45
O47 0.3683 0.8721 0.8631  1 S 1.51
O48 0.0165 0.1991 0.9074  1 S 1.45
O49 0.8634 0.4980 0.4256  1 S 1.53
O50 0.5159 0.8658 0.0741  1 S 1.45
O51 0.1279 0.6317 0.3631  1 S 1.51
O52 0.9712 0.7895 0.8043  1 S 1.45
O53 0.4612 0.2983 0.0297  1 S 1.51
O54 0.9712 0.1817 0.3043  1 S 1.45
O55 0.8183 0.7895 0.3043  1 S 1.45
O56 0.8009 0.9835 0.4074  1 S 1.45
O57 0.7946 0.8296 0.1964  1 S 1.51
O58 0.8183 0.0288 0.8043  1 S 1.45
O59 0.6832 0.5325 0.2408  1 S 1.45
O60 0.8493 0.3168 0.2408  1 S 1.45
O61 0.1516 0.6955 0.4709  1 S 1.45
O62 0.8634 0.3654 0.9256  1 S 1.53
O63 0.5020 0.1366 0.9256  1 S 1.53
O64 0.7017 0.1629 0.0297  1 S 1.51
O65 0.8353 0.0321 0.0923  1 S 1.53
O66 0.1968 0.1647 0.0923  1 S 1.53
O67 0.7017 0.5388 0.5297  1 S 1.51
O68 0.5439 0.8484 0.4709  1 S 1.45
O69 0.8772 0.5151 0.1376  1 S 1.45
O70 0.1826 0.1991 0.4074  1 S 1.45
O71 0.4675 0.1507 0.2408  1 S 1.45
O72 0.6379 0.5151 0.6376  1 S 1.45
S1 0.2889 0.0007 0.2506  4 O 1.45-1.53
S2 0.3784 0.0444 0.5839  4 O 1.45-1.53
S3 0.9556 0.3340 0.5839  4 O 1.45-1.53
S4 0.3327 0.9549 0.9173  4 O 1.45-1.53
S5 0.3784 0.3340 0.0839  4 O 1.45-1.53
*/
== The records of crystals stop here ==
For me, the trauma of poverty was something I experienced in early childhood. I am thankful I was able to move away from the insecurity of poverty by the time I was 10 years old. I am grateful for my parents and the efforts they made to get my sister and I out of the cycle of poverty. I’m aware, however, that their efforts may have been for nought if they were in Black bodies in this country. I am aware that many of the students who are in my classes at Miami Dade College are still within the grips of deep poverty, often struggling with food and housing insecurity. I am deeply aware that each student I work with in prison is there as a result of trauma, often trauma induced by poverty.
Misplaced materials data =
/*
# TbB2C, relaxed, DFT r²SCAN
# - final energy (eV per atom) = -14.58
# - calculated density (g cm⁻³) = 7.352
data_TbB2C
_chemical_formula_sum 'Tb8 B16 C8'
_cell_length_a 6.797
_cell_length_b 6.797
_cell_length_c 7.531
_cell_angle_alpha 90.00
_cell_angle_beta 90.00
_cell_angle_gamma 90.00
_symmetry_space_group_name_H-M 'P 1'
_symmetry_Int_Tables_number 1
loop_
_symmetry_equiv_pos_as_xyz
'x,y,z'
loop_
_atom_site_label
_atom_site_fract_x
_atom_site_fract_y
_atom_site_fract_z
Tb1 0.191 0.309 0.250
B1 0.095 0.597 0.500
B2 0.151 0.034 0.000
B3 0.966 0.151 0.500
C1 0.541 0.677 0.000
C2 0.823 0.959 0.500
Tb2 0.309 0.809 0.750
B4 0.534 0.651 0.500
B5 0.905 0.403 0.500
Tb3 0.691 0.191 0.250
Tb4 0.309 0.809 0.250
B6 0.595 0.903 0.500
Tb5 0.191 0.309 0.750
C3 0.177 0.041 0.500
C4 0.041 0.823 0.000
Tb6 0.809 0.691 0.750
B7 0.405 0.097 0.500
C5 0.959 0.177 0.000
B8 0.097 0.595 0.000
B9 0.597 0.905 0.000
C6 0.459 0.323 0.000
B10 0.403 0.095 0.000
C7 0.323 0.541 0.500
B11 0.651 0.466 0.000
B12 0.903 0.405 0.000
B13 0.466 0.349 0.500
B14 0.034 0.849 0.500
B15 0.849 0.966 0.000
C8 0.677 0.459 0.500
B16 0.349 0.534 0.000
Tb7 0.809 0.691 0.250
Tb8 0.691 0.191 0.750

----------

1.
This record from Materials Project describes an optimized crystal structure of Zn3Si3Bi2O12. The functional is PBE.

Cell and atoms, written as POSCAR:
```
Zn3Si3Bi2O12
1.0
-6.249 6.249 6.249
6.249 -6.249 6.249
6.249 6.249 -6.249
Zn Si Bi O
12 12 8 48
Direct
0.125 0.250 0.375
0.125 0.375 0.750
0.250 0.375 0.125
0.250 0.875 0.625
0.375 0.125 0.250
0.375 0.750 0.125
0.625 0.250 0.875
0.625 0.875 0.750
0.750 0.125 0.375
0.750 0.625 0.875
0.875 0.625 0.250
0.875 0.750 0.625
0.125 0.750 0.875
0.125 0.875 0.250
0.250 0.125 0.875
0.250 0.625 0.375
0.375 0.250 0.625
0.375 0.625 0.750
0.625 0.375 0.250
0.625 0.750 0.375
0.750 0.375 0.625
0.750 0.875 0.125
0.875 0.125 0.750
0.875 0.250 0.125
0.000 0.000 0.000
0.000 0.000 0.500
0.000 0.500 0.000
0.000 0.500 0.500
0.500 0.000 0.000
0.500 0.000 0.500
0.500 0.500 0.000
0.500 0.500 0.500
0.024 0.233 0.132
0.024 0.292 0.892
0.101 0.733 0.708
0.101 0.868 0.392
0.108 0.632 0.399
0.108 0.976 0.708
0.132 0.024 0.233
0.132 0.608 0.899
0.208 0.233 0.601
0.208 0.476 0.608
0.233 0.132 0.024
0.233 0.601 0.208
0.267 0.292 0.899
0.267 0.476 0.368
0.292 0.892 0.024
0.292 0.899 0.267
0.368 0.267 0.476
0.368 0.601 0.892
0.392 0.101 0.868
0.392 0.792 0.524
0.399 0.108 0.632
0.399 0.792 0.767
0.476 0.368 0.267
0.476 0.608 0.208
0.524 0.392 0.792
0.524 0.632 0.733
0.601 0.208 0.233
0.601 0.892 0.368
0.608 0.208 0.476
0.608 0.899 0.132
0.632 0.399 0.108
0.632 0.733 0.524
0.708 0.101 0.733
0.708 0.108 0.976
0.733 0.524 0.632
0.733 0.708 0.101
0.767 0.399 0.792
0.767 0.868 0.976
0.792 0.524 0.392
0.792 0.767 0.399
0.868 0.392 0.101
0.868 0.976 0.767
0.892 0.024 0.292
0.892 0.368 0.601
0.899 0.132 0.608
0.899 0.267 0.292
0.976 0.708 0.108
0.976 0.767 0.868
```

Calculated values
energy of formation from the pure elements: -2163 meV per atom
*/
When we talk about racism, people often get confused with the notion of personal racism and quickly point to how many things have improved since MLK. But that sort of thinking avoids the essence of racism, which is economic and structural in nature. Racism in the US has always been about wealth and the theft of wealth. (Slavery is just one of the most evident forms of this.)
Poverty is a terrible life sucking vampire. It destroys health. It limits human expression and creativity. Likewise, it leaves marks not just on past generations, but present and future ones. In this country, poverty and race go hand in hand.
Here’s the link to the page with the report. I hope you take some time to read. Education is a doorway out of poverty—the kind my parents experienced and the kind that is of the mind and imagination, the result of looking the other way and staying comfortably sealed in a bubble.
Brilliant, poignant, and spot-on essay. Yes, we are all in this together, and as you suggest staying in our bubble is not only destructive to African-Americans, but also to all of us.